The 17th November 2018, marks the 150th anniversary of Charles Bradlaugh’s epic political struggle to be elected as MP for Northampton.
Charles Bradlaugh was a leading classical Liberal, atheist and republican, opposed socialism and Marx, and promoted universal suffrage, trade unionism and campaigned for birth control and family planning. He was a controversial figure, but the electors of Northampton supported him with great enthusiasm.
When he was prevented from taking his seat in 1880 the townsfolk united around him. This became one of the most important political struggles of the 19th Century and eventually, Charles Bradlaugh achieved constitutional reform and greater tolerance, and the advancement of many important campaigns.
Charles Bradlaugh
Prior to the 1868 election campaign, Charles Bradlaugh had been a frequent and popular visitor to the town. In 1857 he was a guest of the Freehold Land Association. There was a great need for new housing, seven years earlier overcrowding had led to an outbreak of cholera in the Bridge Street area of Northampton. The Freehold Land Association evolved into the Northampton and County Building Society and went on to build homes at Poets Corner in Kingsley and in Abington.
Charles Bradlaugh visited again on several occasions to speak on theological themes, and supported local freethinkers who were prosecuted by the vicar of All Saint’s Church for refusing to pay the ‘vicars rate’, he wrote to the Reverend Geddes: “you are a good and faithful shepherd doubtless, but you have more regard for the wool than the sheep and have an open eye for the shearing!”
Northampton has a long history with radicalism and dissent. The town supported Parliament during the civil war and in May 1649 it’s citizens welcomed the brief occupation by Leveller Captain William Thompson and his troops to free imprisoned leveller supporters, Cromwell’s troops in hot pursuit, caught up with them the following day near the village of Walgrave and Thompson died bravely fighting to the end.
Charles Bradlaugh
Shoemaking, the principal industry of the town, has long been associated with atheism and republicanism. ‘The infidel Crispinites’ were Charles Bradlaugh’s most enthusiastic supporters. It has been pointed out that Northampton’s population had a smaller proportion of atheists than other comparative population yet religious non-conformism thrived here in the mid-19th century.
In 1865 Charles Bradlaugh helped to establish the National Reform League to campaign for one man one vote. He supported votes for women, but at the time the thrust for women’s votes was on the same basis as votes for men, you had to own property which meant primarily conservative-leaning voters were only eligible, something the Liberals understandably would not welcome, instead support votes for all men including working-class ones which Charles Bradlaugh supported. The National Reform League organised mass demonstrations and public meetings, including one at Northampton Guildhall in 1866. As a result of this agitation, the Conservative government introduced the 1867 Reform Act which extended the vote to every male householder living in a borough constituency and effectively doubled the electorate in Northampton. Charles Bradlaugh wanted to stand as an MP for parliament and promote reforms through Parliament. His friends in Northampton encouraged him to consider standing as a candidate here. As today, Northampton returned two Members of Parliament, and in 1868 these were Liberals Lord Henley and the more progressive Liberal James Gilpin.
1868 General Election Results
Charles Bradlaugh had his eye on his lordship’s seat. However, there was great opposition from the local Liberal Party establishment to his candidature. Many other local parties were consulting the membership about the choice of suitable candidates, but not in Northampton, and this led to a serious rift within the local party, for and against Charles Bradlaugh. Charles Bradlaugh had also been encouraged to stand in other towns where there was assured support and a problem-free election. Ironically, it has been speculated that if there had been an open contest in Northampton then he would not have been selected! However, this unfairness led to a serious split and bad feeling within the local party. Charles Bradlaugh had set his heart on Northampton and was obliged to stand independently as a Radical. There were great efforts to discourage support for him, and a strong ’tinge of bigotry’, his personal morality was questioned and voters were told that any Christian who supported him would be offending God! The libellous ‘Watch Story’ was published and circulated, alleging that Charles Bradlaugh had stood on the market square and challenged the Almighty, if he existed, to strike him dead within ten minutes!
A second ‘Radical’ candidate, Quaker and non-conformist Dr.F.R.Lees, attempted to split Charles Bradlaugh’s vote. 500 votes for Lees went to waste when he pulled-out late on polling day.
Resolutions of support came from working men’s organisations all around the country asking the electorate to return Charles Bradlaugh as the ‘friend of the worker’. The philosopher John Stewart Mill sent £10.
Charles Bradlaugh’s daughter Hypatia wrote of the campaign:
Charles Bradlaugh
“The women soon decided upon his election colours, and at the conclusion of a meeting held by him in the theatre in the middle of July 1868, presented him with a rosette made of mauve, white and green ribbons, a combination unique among election colours, afterwards generally identified with Mr Bradlaugh, and loved for his sake. Some of these same rosettes fashioned and worn at this election were cast into the grave at Brookwood in 1891, and some others, which their owners had carefully treasured for six and twenty years were worn for the last time on the 25th June 1894 when the statue of Bradlaugh was unveiled in Northampton.”
Bradlaugh for Northampton
Shoemaker James Wilson composed the song ‘Bradlaugh for Northampton’, put to music by John Lowry.
Supporters in the Staffordshire Potteries unable to send financial support manufactured 100-pint pots decorated in mauve and green and inscribed ‘Bradlaugh for Northampton!’ They were sold for a shilling each. Northampton Museum has a pair of these mugs in its collection.
Prime Minister and Conservative Party leader Benjamin Disraeli, had hoped that the Reform Bill (his ‘shot in the dark’) would increase support for his party, but the result was a landslide for the Liberals, led by William Gladstone. In infighting continued, and Charles Bradlaugh stood again as a Radical in the 1874 general election. His was abroad on a U.S. lecture tour when the election was called at short notice and was unable to return in time for the ballot. Even though he came in third place again, support for him continued to grow, and when he was able to visit a week later there was a crowd of 14,000 to welcome him between the railway station and the town centre!
Newspaper reports of the unrest
Later that year there was a by-election following the untimely death of James Gilpin who had won a seat from the Tories. The local liberal establishment hostility continued, and the atmosphere was further poisoned by the Liberal candidate William Fowler who questioned Charles Bradlaugh’s character and morality. Charles Bradlaugh’s supporters were becoming increasingly frustrated, and when the results of the election were read out on the market square there was shouts of the fixed result, recount!’ Brawls broke out, and these developed into a night of serious rioting. The mayor read the riot act and the local militia fired shots above the crowd.
## Between two parts of the page: data records
Starting from a cell relaxed with GGA-PBE, the powder diffraction line list of Ba3Tb2HoTe6 was simulated for λ = 1.5418 Å (Cu Kα).
Kinematic intensities with the Lorentz-polarization factor, no thermal factor.

Peak list (10 most intense, 10 to 80 degrees two-theta, by angle)
2θ/deg  I/Imax  index
27.14  100  1 3 1
38.15  36  2 0 2
39.36  38  0 6 0
48.43  10  4 0 0
48.49  13  2 6 -2
55.97  13  2 6 2
62.45  14  3 3 3
64.11  13  4 6 0
64.19  6  1 9 1
70.54  8  5 3 1

Cell and atoms:
Cell: 7.9370 13.7222 8.2599 Å, 90.00 108.67 90.00°
Space group C2/m (No. 12)
One atom of each set of equivalent atoms:
1 Ba 0.0000 0.0000 0.0000 [2 per cell]
2 Ba 0.0000 0.3324 0.0000 [4 per cell]
3 Tb 0.0000 0.1662 0.5000 [4 per cell]
4 Ho 0.0000 0.5000 0.5000 [2 per cell]
5 Te 0.2371 0.3343 0.7149 [8 per cell]
6 Te 0.2409 0.0000 0.7160 [4 per cell]

Starting from a cell relaxed with GGA-PBE, the powder diffraction line list of BaInI5 was simulated for λ = 1.5418 Å (Cu Kα).
Kinematic intensities with the Lorentz-polarization factor, no thermal factor.

Peak list (10 most intense, 10 to 80 degrees two-theta, by angle)
2θ/deg  I/Imax  index
15.86  100  2 0 0
16.18  100  1 1 -2
20.38  61  2 2 -1
23.15  38  1 1 -3
25.64  56  2 2 1
26.44  57  1 3 -2
29.07  51  2 0 -4
32.03  38  4 0 0
32.72  70  3 3 0
42.64  31  4 4 -3

Cell and atoms:
Cell: 12.5916 12.0965 12.2935 Å, 90.00 117.40 90.00°
Space group C2/c (No. 15)
One atom of each set of equivalent atoms:
1 Ba 0.0000 0.0000 0.0000 [4 per cell]
2 In 0.0000 0.4057 0.2500 [4 per cell]
3 I 0.0000 0.1109 0.7500 [4 per cell]
4 I 0.0083 0.2903 0.4479 [8 per cell]
5 I 0.1898 0.4461 0.8352 [8 per cell]

Starting from a cell relaxed with GGA-PBE, the powder diffraction line list of Ba3InI7 was simulated for λ = 1.5418 Å (Cu Kα).
Kinematic intensities with the Lorentz-polarization factor, no thermal factor.

Peak list (10 most intense, 10 to 80 degrees two-theta, by angle)
2θ/deg  I/Imax  index
18.27  25  2 2 0
18.81  25  0 2 2
21.40  9  2 0 2
29.76  28  4 0 0
30.53  100  2 4 2
31.13  24  0 0 4
36.33  10  2 2 4
43.60  20  4 0 4
53.31  18  6 4 2
55.01  15  2 4 6

Cell and atoms:
Cell: 12.0058 16.5265 11.4938 Å, 90.00 90.00 90.00°
Space group C222_1 (No. 20)
One atom of each set of equivalent atoms:
1 Ba 0.0000 0.0000 0.0000 [4 per cell]
2 Ba 0.2277 0.2667 0.2506 [8 per cell]
3 In 0.0000 0.5000 0.0000 [4 per cell]
4 I 0.0000 0.1285 0.2500 [4 per cell]
5 I 0.0000 0.1381 0.7500 [4 per cell]
6 I 0.0000 0.3928 0.2500 [4 per cell]
7 I 0.2412 0.3760 0.5211 [8 per cell]
8 I 0.2417 0.3759 0.9800 [8 per cell]

Starting from a cell relaxed with GGA-PBE, the powder diffraction line list of Ba4InI10 was simulated for λ = 1.5418 Å (Cu Kα).
Kinematic intensities with the Lorentz-polarization factor, no thermal factor.

Peak list (10 most intense, 10 to 80 degrees two-theta, by angle)
2θ/deg  I/Imax  index
18.46  36  0 1 5
18.90  14  0 0 15
21.48  24  1 0 10
30.28  100  1 1 0
30.83  84  0 1 20
35.94  17  1 1 15
43.76  32  2 0 20
53.79  19  3 0 0
Fruits of Philosophy
Charles Bradlaugh’s Notoriety increased when he was prosecuted alongside Annie Besant for republishing a birth control manual, ‘The Fruits of Philosophy’ by Frederick Knowlton, described by the Public prosecutor at their trial as a ‘dirty, filthy book’. The pair were sentenced to six months but escaped imprisonment on a legal technicality.
Charles Bradlaugh expanded public knowledge of reproduction and contraception and initiated the process of dismantling the obscenity laws.
Prior to the general election of 1880, the Liberals attempted to find another ‘Radical ‘ candidate to challenge Charles Bradlaugh, but nobody stepped forward, and they selected a ‘gentleman’ the Right Honourable Acton Smee Ayrton. Unfortunately, shortly before the election, he was seriously injured after falling from his horse. Moses Manfield, shoe factory owner and Liberal Party supporter of Charles Bradlaugh, travelled to London and consulted with the party’s Chief Whip and a joint platform was agreed with the Liberal candidate for the town’s second seat ‘Radical’ Henry Labouchere. There was now liberal unity and both candidates were successfully elected to Parliament!
Little did Charles Bradlaugh know that his problems had hardly begun!